-- Data --
+++
A.
Density functional theory data (ωB97M-V/def2-TZVPD) for an isolated molecule of C5H5NO.

ORCA input file:
```
! wB97M-V def2-TZVPD RIJCOSX def2/J DEFGRID3
* xyz 0 1
O 1.60048 -1.08683 -1.24656
C 1.54430 -1.02555 -0.03428
C 0.34509 -0.52902 0.69871
C -1.03881 0.99116 0.77666
C -0.77013 -0.07906 -0.17348
C -0.33035 0.71423 -1.32502
N -0.11011 1.53181 -2.11221
H 2.32702 -1.52442 0.57351
H 0.23055 -0.88858 1.71205
H -0.40120 1.85441 0.84218
H -2.05429 1.10241 1.17475
H -1.56835 -0.77941 -0.41846
*
```

Calculated values
**Frontier orbital gap (alpha / beta)**: 7.822 / 8.606 eV

Results of the Löwdin charge analysis, in e, for atoms 1 through 4: atom 1 (O): 0.039, atom 2 (C): -0.258, atom 3 (C): -0.025, atom 4 (C): 0.100

=====

B.
Density functional theory data (ωB97M-V/def2-TZVPD) for an isolated molecule of C5H5NO.

ORCA input file:
```
! wB97M-V def2-TZVPD RIJCOSX def2/J DEFGRID3
* xyz 0 1
O 0.23235 0.39765 2.01753
C 0.52070 0.31725 0.84215
C 1.81431 -0.13993 0.34058
C 2.77894 -0.56608 -0.24129
C -0.44196 0.59905 -0.26741
C -1.46687 -0.45279 -0.50867
N -1.83504 0.84505 0.03225
H 3.63302 -0.95001 -0.75702
H -0.01952 1.13263 -1.11598
H -1.46786 -1.31976 0.15033
H -1.77475 -0.64818 -1.53255
H -1.97332 0.78512 1.04009
*
```

Calculated values
**Frontier orbital gap**: 10.161 eV
**Structure (SMILES)**: C#CC(=O)[C@H]1CN1

Results of the Löwdin charge analysis, in e, for atoms 1 through 4: atom 1 (O): 0.107, atom 2 (C): -0.398, atom 3 (C): -0.026, atom 4 (C): 0.156

=====

C.
Density functional theory data (ωB97M-V/def2-TZVPD) for a cluster of 2 separate species, C5H5NO in total.

ORCA input file:
```
! wB97M-V def2-TZVPD RIJCOSX def2/J DEFGRID3
* xyz 0 1
O -2.50672 -1.51867 0.36728
C -1.66342 -2.04228 0.92079
C -0.15152 0.49179 0.74632
C 1.23482 0.85205 0.34800
C 0.20655 0.56238 -0.72140
C 0.29962 -0.64992 -1.50254
N 0.37022 -1.62146 -2.12890
H -0.25848 -0.49272 1.18950
H -0.84083 1.24843 1.11157
H 1.99164 0.09092 0.51143
H 1.56939 1.87708 0.45382
H -0.17046 1.41310 -1.28339
*
```

Calculated values
**Frontier orbital gap**: 11.772 eV

Results of the Löwdin charge analysis, in e, for atoms 1 through 4: atom 1 (O): 0.044, atom 2 (C): 0.025, atom 3 (C): -0.143, atom 4 (C): -0.101

=====

Pick the most stable structure from those above. Pick: C

* * * * *

(1)
DFT (wB97M-V/def2-TZVPD) results for a molecular structure, C5H4ErO7 at a distorted geometry.

Each line ends with the Löwdin spin population.
Cartesian coordinates (Å):
O 1.19961 -1.40685 0.94016  0.015
C 0.05011 -1.98172 0.91890  0.006
O -0.12046 -3.14005 1.29065  0.019
O -0.48799 0.53858 1.74123  0.001
O -1.87431 -0.91122 2.76771  0.010
C -1.02094 -0.60474 1.95329  0.018
Er 1.41104 0.76049 0.49522  3.029
O 2.32981 0.72419 -1.44249  -0.006
C 2.70374 -0.05056 -2.51484  0.002
C 2.16810 -1.47307 -2.45949  0.013
O 0.73253 -1.49554 -2.61431  0.151
C -0.08180 -2.00550 -1.72628  0.462
H 2.37101 0.40010 -3.47242  0.001
H 3.80634 -0.15530 -2.59305  0.000
H 2.41762 -1.96495 -1.50857  0.006
H 2.55011 -2.07062 -3.29592  0.001
O -1.26923 -1.89986 -1.86676  0.273

Output
Gap between HOMO and LUMO (spin up / spin down), eV: 5.19 / 5.32
Spin multiplicity: 5
Energy above the lowest of the compared OMol25 structures with the same formula, charge and spin, kJ/mol: 0.0
Expectation value of S²: 6.008
HOMO energy (spin up / spin down), eV: -7.9 / -7.9

=====

(2)
DFT (wB97M-V/def2-TZVPD) results for 2 unconnected molecules or ions with the total composition C24H22INO8S at a distorted geometry.

Each line ends with the Löwdin charge.
Cartesian coordinates (Å):
C -4.15722 3.00695 -1.34508  -0.130
C -3.34650 1.79593 -0.66165  -0.309
C -2.45768 0.94032 -1.73205  -0.715
I -3.53684 -0.74439 -2.58150  0.867
C -1.15508 0.45730 -0.89592  -0.222
C -1.28890 -0.31160 0.47450  -0.006
C -0.05354 -0.74109 1.31071  0.018
C 1.36271 -0.41421 0.77778  -0.032
C 1.50934 0.32288 -0.60819  -0.014
C 0.26002 0.75952 -1.45694  0.059
C 3.01611 0.63939 -1.09340  -0.242
O 3.37742 0.56087 -2.29137  0.083
+++

-- Exercise --
The reader should type out everything further above exactly.

-- Worked solution --
A.
Density functional theory data (ωB97M-V/def2-TZVPD) for an isolated molecule of C5H5NO.

ORCA input file:
```
! wB97M-V def2-TZVPD RIJCOSX def2/J DEFGRID3
* xyz 0 1
O 1.60048 -1.08683 -1.24656
C 1.54430 -1.02555 -0.03428
C 0.34509 -0.52902 0.69871
C -1.03881 0.99116 0.77666
C -0.77013 -0.07906 -0.17348
C -0.33035 0.71423 -1.32502
N -0.11011 1.53181 -2.11221
H 2.32702 -1.52442 0.57351
H 0.23055 -0.88858 1.71205
H -0.40120 1.85441 0.84218
H -2.05429 1.10241 1.17475
H -1.56835 -0.77941 -0.41846
*
```

Calculated values
**Frontier orbital gap (alpha / beta)**: 7.822 / 8.606 eV

Results of the Löwdin charge analysis, in e, for atoms 1 through 4: atom 1 (O): 0.039, atom 2 (C): -0.258, atom 3 (C): -0.025, atom 4 (C): 0.100

=====

B.
Density functional theory data (ωB97M-V/def2-TZVPD) for an isolated molecule of C5H5NO.

ORCA input file:
```
! wB97M-V def2-TZVPD RIJCOSX def2/J DEFGRID3
* xyz 0 1
O 0.23235 0.39765 2.01753
C 0.52070 0.31725 0.84215
C 1.81431 -0.13993 0.34058
C 2.77894 -0.56608 -0.24129
C -0.44196 0.59905 -0.26741
C -1.46687 -0.45279 -0.50867
N -1.83504 0.84505 0.03225
H 3.63302 -0.95001 -0.75702
H -0.01952 1.13263 -1.11598
H -1.46786 -1.31976 0.15033
H -1.77475 -0.64818 -1.53255
H -1.97332 0.78512 1.04009
*
```

Calculated values
**Frontier orbital gap**: 10.161 eV
**Structure (SMILES)**: C#CC(=O)[C@H]1CN1

Results of the Löwdin charge analysis, in e, for atoms 1 through 4: atom 1 (O): 0.107, atom 2 (C): -0.398, atom 3 (C): -0.026, atom 4 (C): 0.156

=====

C.
Density functional theory data (ωB97M-V/def2-TZVPD) for a cluster of 2 separate species, C5H5NO in total.

ORCA input file:
```
! wB97M-V def2-TZVPD RIJCOSX def2/J DEFGRID3
* xyz 0 1
O -2.50672 -1.51867 0.36728
C -1.66342 -2.04228 0.92079
C -0.15152 0.49179 0.74632
C 1.23482 0.85205 0.34800
C 0.20655 0.56238 -0.72140
C 0.29962 -0.64992 -1.50254
N 0.37022 -1.62146 -2.12890
H -0.25848 -0.49272 1.18950
H -0.84083 1.24843 1.11157
H 1.99164 0.09092 0.51143
H 1.56939 1.87708 0.45382
H -0.17046 1.41310 -1.28339
*
```

Calculated values
**Frontier orbital gap**: 11.772 eV

Results of the Löwdin charge analysis, in e, for atoms 1 through 4: atom 1 (O): 0.044, atom 2 (C): 0.025, atom 3 (C): -0.143, atom 4 (C): -0.101

=====

Pick the most stable structure from those above. Pick: C

* * * * *

(1)
DFT (wB97M-V/def2-TZVPD) results for a molecular structure, C5H4ErO7 at a distorted geometry.

Each line ends with the Löwdin spin population.
Cartesian coordinates (Å):
O 1.19961 -1.40685 0.94016  0.015
C 0.05011 -1.98172 0.91890  0.006
O -0.12046 -3.14005 1.29065  0.019
O -0.48799 0.53858 1.74123  0.001
O -1.87431 -0.91122 2.76771  0.010
C -1.02094 -0.60474 1.95329  0.018
Er 1.41104 0.76049 0.49522  3.029
O 2.32981 0.72419 -1.44249  -0.006
C 2.70374 -0.05056 -2.51484  0.002
C 2.16810 -1.47307 -2.45949  0.013
O 0.73253 -1.49554 -2.61431  0.151
C -0.08180 -2.00550 -1.72628  0.462
H 2.37101 0.40010 -3.47242  0.001
H 3.80634 -0.15530 -2.59305  0.000
H 2.41762 -1.96495 -1.50857  0.006
H 2.55011 -2.07062 -3.29592  0.001
O -1.26923 -1.89986 -1.86676  0.273

Output
Gap between HOMO and LUMO (spin up / spin down), eV: 5.19 / 5.32
Spin multiplicity: 5
Energy above the lowest of the compared OMol25 structures with the same formula, charge and spin, kJ/mol: 0.0
Expectation value of S²: 6.008
HOMO energy (spin up / spin down), eV: -7.9 / -7.9

=====

(2)
DFT (wB97M-V/def2-TZVPD) results for 2 unconnected molecules or ions with the total composition C24H22INO8S at a distorted geometry.

Each line ends with the Löwdin charge.
Cartesian coordinates (Å):
C -4.15722 3.00695 -1.34508  -0.130
C -3.34650 1.79593 -0.66165  -0.309
C -2.45768 0.94032 -1.73205  -0.715
I -3.53684 -0.74439 -2.58150  0.867
C -1.15508 0.45730 -0.89592  -0.222
C -1.28890 -0.31160 0.47450  -0.006
C -0.05354 -0.74109 1.31071  0.018
C 1.36271 -0.41421 0.77778  -0.032
C 1.50934 0.32288 -0.60819  -0.014
C 0.26002 0.75952 -1.45694  0.059
C 3.01611 0.63939 -1.09340  -0.242
O 3.37742 0.56087 -2.29137  0.083